-- Given --
{
  "formula": "C16H26BFO8P",
  "method": "ωB97M-V/def2-TZVPD",
  "total_charge": -1,
  "e_homo_ev": -4.5,
  "multiplicity": 1,
  "lumo_energy_ev": 2.529,
  "gap_ha": 0.2572,
  "species": ["C", "O", "H", "C", "O", "H", "H", "H", "H", "H", "C", "C", "C", "H", "C", "C", "C", "C", "H", "H", "H", "H", "H", "H", "C", "B", "H", "O", "P", "C", "F", "H", "H", "H", "H", "C", "C", "O", "C", "H", "H", "H", "H", "O", "H", "O", "O", "C", "H", "C", "O", "H", "H"],
  "coordinates": [[-0.231656, 6.391563, -1.112008], [-0.355462, -1.373857, 1.414898], [-2.739272, -2.651788, 0.397484], [-1.425815, 6.988053, -0.731032], [0.662483, -2.898758, -0.114946], [3.426827, -0.020783, 0.620067], [1.955620, -2.165240, 2.173403], [-1.039713, 0.064271, -3.346477], [-1.080762, -1.194747, -4.595056], [1.186885, 4.832806, -0.699910], [0.257093, 5.301847, -0.403395], [0.830740, -0.847927, 0.859291], [1.978194, -1.149921, 1.808443], [-2.261158, -2.671788, 2.702020], [-0.445607, 4.811027, 0.687780], [-1.642451, 5.404026, 1.065638], [0.805551, -1.586290, -0.510290], [-0.712528, -0.929915, -3.614864], [3.687915, -1.799797, 0.703803], [2.055125, -0.242232, -1.659507], [-0.060053, 3.964782, 1.243555], [1.842461, -0.521465, 2.683161], [-1.157669, -1.611400, -2.902039], [-0.254321, -4.819725, 1.910842], [-1.844501, -3.101680, -0.021919], [-0.477944, -2.764373, 0.860580], [-0.677185, -5.625795, -0.597371], [-0.997726, 1.165985, 0.228738], [0.480654, 0.987264, 0.972197], [3.355262, -0.915382, 1.228491], [4.248456, -0.784356, 2.293763], [-3.067743, 6.952881, 0.649643], [0.299638, -3.407222, 2.851022], [0.318540, 6.776052, -1.961980], [-1.678741, -3.699169, 3.990720], [-0.455306, -3.779014, 2.158966], [-2.132942, 6.491573, 0.355663], [-2.118445, -4.514509, -0.082499], [-1.796337, -3.629712, 2.913278], [1.899447, 1.469350, -0.705905], [-1.722934, -2.762484, -1.056053], [-0.117481, -1.198383, -0.962337], [-2.478649, -4.381873, 2.530407], [1.358919, -0.115334, -4.192565], [-2.192546, 5.016626, 1.913659], [1.653541, 1.853598, 0.151780], [-1.301380, -5.065047, -1.065614], [0.789255, -0.909290, -3.563488], [-1.806330, 7.839333, -1.282116], [1.884644, -1.306282, -1.527489], [1.464359, -1.815289, -2.830672], [2.802534, -1.837885, -1.316184], [-0.971489, 1.787674, -0.513574]],
  "forces_ev_per_angstrom": [[-0.01, 0.00, 0.00], [0.02, 0.47, -0.26], [-0.37, -0.05, 0.00], [0.00, 0.01, -0.01], [0.41, -0.01, -0.02], [0.09, 0.17, -0.14], [-0.38, -0.36, -0.12], [-0.17, 0.34, -0.16], [0.10, 0.11, -0.38], [-0.01, -0.02, 0.03], [0.04, 0.02, -0.05], [-0.67, 0.10, -0.86], [0.60, 0.31, -0.37], [0.03, 0.30, 0.05], [0.02, -0.08, 0.06], [-0.02, 0.03, -0.01], [0.40, 0.90, 0.50], [-0.29, -0.70, 0.92], [0.07, -0.08, -0.50], [0.27, 0.23, 0.14], [-0.01, -0.01, -0.02], [0.08, 0.28, 0.19], [0.03, -0.26, 0.13], [0.06, -0.19, 0.09], [0.83, 0.73, 0.28], [-0.73, -1.75, 0.38], [0.19, 0.15, 0.46], [0.79, 0.07, -0.99], [-0.34, 0.53, 2.27], [-0.25, -0.29, 0.67], [0.42, 0.25, 0.21], [0.01, 0.00, 0.00], [0.47, -0.22, -0.06], [0.00, 0.00, 0.00], [-0.13, -0.26, 0.20], [-0.15, 0.91, -0.11], [-0.01, 0.01, 0.01], [-0.96, 0.20, 0.84], [0.26, -0.26, -0.55], [0.02, 0.20, 0.08], [-0.25, 0.10, -0.09], [-0.24, 0.02, -0.11], [-0.32, -0.19, 0.26], [2.27, 3.02, -2.17], [0.01, -0.02, -0.01], [-0.58, -0.74, -0.90], [0.40, -0.51, -1.38], [-1.80, -1.92, 0.92], [0.00, -0.01, 0.00], [-0.29, -0.99, -0.43], [-0.13, -0.47, 0.82], [0.24, 0.07, 0.09], [-0.04, -0.12, 0.11]]
}

-- Wanted --
Print every line further up that contains the word "coordinates".

-- Reply --
  "coordinates": [[-0.231656, 6.391563, -1.112008], [-0.355462, -1.373857, 1.414898], [-2.739272, -2.651788, 0.397484], [-1.425815, 6.988053, -0.731032], [0.662483, -2.898758, -0.114946], [3.426827, -0.020783, 0.620067], [1.955620, -2.165240, 2.173403], [-1.039713, 0.064271, -3.346477], [-1.080762, -1.194747, -4.595056], [1.186885, 4.832806, -0.699910], [0.257093, 5.301847, -0.403395], [0.830740, -0.847927, 0.859291], [1.978194, -1.149921, 1.808443], [-2.261158, -2.671788, 2.702020], [-0.445607, 4.811027, 0.687780], [-1.642451, 5.404026, 1.065638], [0.805551, -1.586290, -0.510290], [-0.712528, -0.929915, -3.614864], [3.687915, -1.799797, 0.703803], [2.055125, -0.242232, -1.659507], [-0.060053, 3.964782, 1.243555], [1.842461, -0.521465, 2.683161], [-1.157669, -1.611400, -2.902039], [-0.254321, -4.819725, 1.910842], [-1.844501, -3.101680, -0.021919], [-0.477944, -2.764373, 0.860580], [-0.677185, -5.625795, -0.597371], [-0.997726, 1.165985, 0.228738], [0.480654, 0.987264, 0.972197], [3.355262, -0.915382, 1.228491], [4.248456, -0.784356, 2.293763], [-3.067743, 6.952881, 0.649643], [0.299638, -3.407222, 2.851022], [0.318540, 6.776052, -1.961980], [-1.678741, -3.699169, 3.990720], [-0.455306, -3.779014, 2.158966], [-2.132942, 6.491573, 0.355663], [-2.118445, -4.514509, -0.082499], [-1.796337, -3.629712, 2.913278], [1.899447, 1.469350, -0.705905], [-1.722934, -2.762484, -1.056053], [-0.117481, -1.198383, -0.962337], [-2.478649, -4.381873, 2.530407], [1.358919, -0.115334, -4.192565], [-2.192546, 5.016626, 1.913659], [1.653541, 1.853598, 0.151780], [-1.301380, -5.065047, -1.065614], [0.789255, -0.909290, -3.563488], [-1.806330, 7.839333, -1.282116], [1.884644, -1.306282, -1.527489], [1.464359, -1.815289, -2.830672], [2.802534, -1.837885, -1.316184], [-0.971489, 1.787674, -0.513574]],